(Entries)
[1]
First-principles (PBE) data for a geometry-optimized TbPm2Ho2Sc2 structure, as listed in the Alexandria database.

The structure belongs to space group C2/m (No. 12); the cell edges are 11.362, 3.433 and 11.589 Å and the angles 90.00°, 108.83° and 90.00°. Symmetry generates all atoms from Tb at (0.000, 0.000, 0.000), Pm at (0.172, 0.500, 0.589), Ho at (0.046, 0.500, 0.267) and Sc at (0.228, 0.000, 0.869).

As for the crystal system: monoclinic. Its energy of formation is 0.11 eV per atom.

[2]
First-principles (PBE) data for a geometry-optimized Pm3ScBi4 structure, as listed in the Alexandria database.

The structure belongs to space group P2/c (No. 13); the cell edges are 7.799, 9.033 and 7.809 Å and the angles 90.00°, 109.50° and 90.00°. Symmetry generates all atoms from Pm at (0.000, 0.124, 0.250), Pm at (0.000, 0.373, 0.750), Pm at (0.500, 0.374, 0.250), Sc at (0.500, 0.125, 0.750), Bi at (0.256, 0.368, 0.507) and Bi at (0.264, 0.117, 0.000).

As for the crystal system: monoclinic. Its energy of formation is -0.85 eV per atom.

* * * * *

[1]
Cs4Te2H2S: relaxed, GGA-PBE.

Unit cell a=8.958 b=6.710 c=6.710 alpha=89.94 beta=69.26 gamma=69.26
Positions (direct):
Cs1 0.247 0.635 0.135
Cs2 0.753 0.365 0.865
Cs3 0.247 0.135 0.635
S1 0.500 0.000 0.000
Te1 0.016 0.242 0.242
Te2 0.984 0.758 0.758
H1 0.272 0.115 0.115
H2 0.728 0.885 0.885
Cs4 0.753 0.865 0.365

## Properties
energy: -0.2161 Ry per atom
magnetization: 0.0 μB per formula unit
crystal system: monoclinic
V: 349.2 Å³/cell


[2]
CsThHS3: relaxed, GGA-PBE.

Unit cell a=4.315 b=8.348 c=9.814 alpha=90.00 beta=90.00 gamma=104.98
Positions (direct):
S1 0.606 0.211 0.081
S2 0.394 0.789 0.581
Th1 0.000 0.000 0.500
S3 0.394 0.789 0.919
Th2 0.000 0.000 0.000
S4 0.071 0.141 0.750
S5 0.606 0.211 0.419
Cs1 0.736 0.473 0.750
H1 0.598 0.196 0.250
S6 0.929 0.859 0.250
H2 0.402 0.804 0.750
Cs2 0.264 0.527 0.250

## Properties
energy: -0.3928 Ry per atom
magnetization: 0.0 μB per formula unit
crystal system: orthorhombic
V: 341.5 Å³/cell
(Activity)
It remains to count the lines earlier on that contain the word "C2" and give the number alone.
(Result)
1